
Showing posts from February, 2016

Too bad it's not Christmas

Because she really wants to sing All I Want For Christmas is My Two Front Teeth. Tonight makes 6 total (4 still not in) and no more loose ones for now. She's getting too big! She got brave enough to have Matt pull it after the dentist told her it was ready. Katie had her first checkup too. She was nervous at first but she did great! 

____________
#A
The following is a DFT calculation (ωB97M-V with the def2-TZVPD basis set) of a structure of composition C24H18Cl2NO3PSe2W.

Last column: Löwdin charge in e.
Geometry (Å):
W  0.31819  0.72087  0.51233  0.842
Se  -0.13594  -0.41364  -1.87340  0.403
P  -0.22519  -1.57520  -0.02501  0.496
Se  0.43139  0.48998  2.74774  0.320
C  0.98483  -2.90941  0.02255  -0.408
C  0.91687  -3.81094  1.08586  -0.086
C  1.86262  -4.81650  1.19534  -0.065
C  2.87334  -4.92459  0.24865  -0.065
C  2.94140  -4.02662  -0.80633  -0.066
C  2.00043  -3.01359  -0.92064  -0.107
C  -1.82985  -2.31716  0.30810  -0.415
C  -2.19446  -3.50011  -0.33677  -0.082
C  -3.43751  -4.05821  -0.09625  -0.062
C  -4.31697  -3.44177  0.78711  -0.063
C  -3.95481  -2.26885  1.43218  -0.065
C  -2.70962  -1.70228  1.19474  -0.104
H  0.12426  -3.73260  1.82072  0.113
H  1.80856  -5.51759  2.01726  0.111
H  3.60772  -5.71468  0.33254  0.111
H  3.72504  -4.11831  -1.54656  0.110
H  2.04566  -2.31114  -1.74309  0.070
H  -1.50416  -3.98192  -1.01884  0.117
H  -3.72129  -4.97572  -0.59399  0.112
H  -5.28635  -3.88317  0.97738  0.111
H  -4.63699  -1.79951  2.12845  0.111
H  -2.41845  -0.79099  1.70213  0.076
Cl  5.90797  5.20242  1.64660  0.718
C  4.45371  4.40072  1.18013  -0.655
C  3.25981  5.13171  1.12485  -0.084
C  2.08523  4.53026  0.74383  -0.551
Cl  0.64252  5.47724  0.66595  0.766
C  2.02618  3.15943  0.41755  -0.344
O  0.88538  2.63540  0.01980  -0.281
C  3.24015  2.43824  0.51035  -0.124
C  3.30233  1.04791  0.20765  -0.115
O  2.33263  0.27393  0.09602  -0.217
C  4.45048  3.07221  0.86142  -0.036
H  3.26564  6.18320  1.37794  0.118
H  4.28636  0.59752  0.04958  0.157
H  5.36585  2.49599  0.89588  0.126
O  -1.64392  1.35376  0.41805  -0.355
N  -2.15755  2.01233  -0.63424  -0.169
C  -1.88540  3.31358  -0.80047  0.003
C  -2.46703  3.99680  -1.84500  -0.001
C  -3.33739  3.33758  -2.69999  -0.016
C  -3.60821  1.99450  -2.48113  -0.007
C  -3.00087  1.34119  -1.43338  -0.033
H  -1.19851  3.74247  -0.08842  0.080
H  -2.23485  5.04412  -1.97163  0.126
H  -3.80499  3.86455  -3.51962  0.124
H  -4.28727  1.44378  -3.11516  0.126
H  -3.14696  0.30279  -1.17874  0.128

charge: +1
frontier orbital gap (spin up / spin down): 0.2502 / 0.2597 Ha
multiplicity: 2
E_LUMO (spin up / spin down): -4.05 / -3.92 eV

#B
The following is a DFT calculation (ωB97M-V with the def2-TZVPD basis set) of a structure of composition C24H18Cl2NO3PSe2W.

Last column: Löwdin charge in e.
Geometry (Å):
W  0.78511  -0.85961  -1.04808  1.225
Se  1.55846  1.52759  -0.40026  0.464
P  -0.41905  1.88206  0.47532  0.282
Se  -1.52722  0.16303  -0.36938  0.414
C  -1.08986  3.47153  -0.00784  -0.406
C  -1.07578  4.54206  0.88427  -0.071
C  -1.54193  5.78059  0.47117  -0.058
C  -2.01788  5.94760  -0.82096  -0.055
C  -2.02859  4.87962  -1.71019  -0.059
C  -1.56313  3.64070  -1.30831  -0.098
C  -0.41623  1.79698  2.26477  -0.432
C  0.76046  1.62707  2.98495  -0.091
C  0.71067  1.57143  4.37095  -0.060
C  -0.50491  1.68432  5.02815  -0.057
____________

Family Fun Day

Matt was sick for 2 days with the dreaded stomach virus that's plagued almost everyone in the McCormick family over the last few weeks. When he woke up feeling better this morning he said we needed to take the kids to do something because he couldn't sit around here another day. Of course I had no problem coming up with an idea. It was cloudy but the temperature was nice so, after a quick stop for some lunch (his first real meal in days) and some silliness at Rotolo's, we decided to go to one of our favorites- Gators and Friends Katie was the only kid there in her fancy dress and high heels but she got lots of compliments :) No matter how many times we go they never get tired of it. They are both little animal lovers but especially Lilli.  When we were done there, we went to Layoco for some frozen yogurt and were so surprised to see Belle! (From Beauty and the Beast)  Then Matt dropped us off at the park so we could play a little bit before going home. Fun day! 


And I'm the best Mom ever! According to Lilli. And for today at least. :) I got this title after we woke up at the deer camp this morning. We surprised the kids yesterday with a trip up there to see Chad, Rachel, Austin and Josey because they had decided to stay an extra night. On top of getting a surprise afternoon and sleepover with her cousins, I told her she had another surprise for her day off of school (Happy President's Day!). We were meeting Aubrey and Tiffany at Altitude Trampoline Park for a morning play date and then we were picking up Sophie for an afternoon play date at our house.  Apparently this has won me Mom of the Year. I'll take it! 

_Someone pasted quantum chemistry results at this point_
~~~
[1]
Molecular formula: C4H6O2
Method: DFT, the ωB97M-V functional and the def2-TZVPD basis

The value obtained for the HOMO-LUMO gap is 10.902 eV. Its energy is -8338.4978 eV. The SMILES is C[C@H]1O[C@H]1C=O.

```
12
Properties=species:S:1:pos:R:3:lowdin_charge:R:1
C -1.3885 0.6473 0.3021 -0.03
C -0.6398 -0.6421 0.0654 -0.29
O -0.1674 -0.7833 -1.2575 0.00
C 0.8060 -0.7800 -0.2270 -0.21
C 1.7601 0.3689 -0.1505 -0.19
O 2.9225 0.1851 0.1201 0.07
H -2.0266 0.5446 1.1744 0.08
H -0.7737 1.5429 0.4387 0.07
H -2.0353 0.8051 -0.5707 0.09
H -1.1131 -1.5472 0.4628 0.14
H 1.3074 -1.7340 -0.0612 0.15
H 1.3601 1.3899 -0.3167 0.13
```

[2]
Molecular formula: C4H6O2
Method: DFT, the ωB97M-V functional and the def2-TZVPD basis

The value obtained for the HOMO-LUMO gap is 10.191 eV. Its energy is -8338.0921 eV. The SMILES is O=C1CC(O)C1.

```
12
Properties=species:S:1:pos:R:3:lowdin_charge:R:1
O -1.7929 0.8433 0.5146 -0.06
C -0.3822 0.7756 0.2783 -0.28
C 0.5631 -0.2992 1.0338 -0.03
C 1.0722 -0.9882 -0.2390 -0.38
O 1.9858 -1.7284 -0.5424 0.09
C 0.0123 -0.2008 -0.9673 -0.06
H -2.1797 1.1464 -0.3299 0.10
H -0.0695 1.7885 -0.0282 0.14
H -0.0832 -0.9914 1.5732 0.13
H 1.3884 0.1255 1.5827 0.11
H 0.3720 0.3379 -1.8307 0.11
H -0.8864 -0.8093 -1.0452 0.13
```

[3]
Molecular formula: C4H6O2
Method: DFT, the ωB97M-V functional and the def2-TZVPD basis

The value obtained for the HOMO-LUMO gap is 9.577 eV. Its energy is -8336.2718 eV. The SMILES is O=C=C1COC1.[H][H].

```
12
Properties=species:S:1:pos:R:3:lowdin_charge:R:1
O -1.4826 -2.1254 -0.7755 0.15
C -0.8376 -1.2187 -0.4121 -0.24
C -0.0527 -0.1915 -0.2010 -0.23
C 0.4284 0.7702 0.8670 -0.15
O 1.5688 1.0865 0.0487 -0.10
C 1.1617 0.1915 -0.9955 -0.14
H -2.0833 -0.5717 1.0800 0.11
H -2.0718 -0.0052 0.5910 0.10
H -0.1776 1.6643 1.0752 0.12
H 0.7259 0.3111 1.8192 0.12
H 1.8698 -0.6260 -1.1612 0.12
H 0.9510 0.7151 -1.9356 0.12
```

[4]
Molecular formula: C4H6O2
Method: DFT, the ωB97M-V functional and the def2-TZVPD basis

The value obtained for the HOMO-LUMO gap is 11.064 eV. Its energy is -8338.0983 eV. The SMILES is C[C@H]1O[C@H]1C=O.

```
12
Properties=species:S:1:pos:R:3:lowdin_charge:R:1
C -1.2473 0.6314 0.3329 -0.03
C -0.5756 -0.6311 -0.1605 -0.30
O -0.2387 -0.5895 -1.5389 0.02
C 0.8219 -0.7279 -0.6164 -0.23
C 1.5714 0.3382 0.0916 -0.22
O 2.1391 0.0044 1.1068 0.06
H -0.9676 0.9048 1.3550 0.09
H -1.0272 1.4720 -0.3346 0.09
H -2.3278 0.4657 0.3062 0.08
H -0.9006 -1.5592 0.2972 0.15
H 1.3038 -1.7044 -0.6393 0.16
H 1.4485 1.3954 -0.1999 0.14
```

[5]
Molecular formula: C4H6O2
Method: DFT, the ωB97M-V functional and the def2-TZVPD basis

The value obtained for the HOMO-LUMO gap is 10.285 eV. Its energy is -8338.7686 eV. The SMILES is O=C1CC(O)C1.

```
12
Properties=species:S:1:pos:R:3:lowdin_charge:R:1
O 1.3735 -1.1673 0.7098 -0.03
C 0.4898 -0.5915 -0.2261 -0.33
C -0.9642 -0.6378 0.3151 -0.03
C -1.0367 0.8583 0.0498 -0.42
O -1.9001 1.6422 -0.2463 0.09
C 0.4234 0.9944 -0.2620 -0.03
H 2.2834 -1.0343 0.4139 0.10
~~~
_End of the quantum chemistry results_

Happy Valentines's Day!

Matt and I had our first date night since August last night to celebrate Valentine's Day. The girls favorite babysitter, Ms. Sheri, came so that we could go to Superior. We are party animals! We went out around 6:00 and got home around 9:00. :) But that's just what we wanted to do. The girls and I got up to a table of cards, flowers and chocolate for each of us. I sure do love that man! And Mama may have had a few toy surprises for the kids too. Katie loves her batman!  Friday and Saturday were lots of fun. I couldn't make Lilli's Valentine party at school so Matt went instead. I think she loved having her Daddy there even more because she rarely get him all to herself. We had an ice cream party at First Friends too. I was honestly a little nervous at how crazy my class was going to be because parents were there but they did great! And it was such a beautiful day on Saturday that we spent a few hours at the park.  It's been a great weekend so far and to top it off, ...

Americanism Awards Dinner

Tonight all 4 of us went to an awards dinner sponsored by the Veterans of Foreign Wars so that Lilli could receive an award for her coloring of the American Flag. It was something she did back in September or October and we found out last month that she had won 3rd place in our district.  The categories ranged from coloring of the Flag for kindergarteners to writing an essay on your vision for the future of America for high school. I was proud anyway but it was a bigger deal than I expected. Her medal was engraved with her name and she also won money. Her sweet teacher, Mrs.Chism was there to support her and even the Principal came. We are so fortunate to have such great people at her school that have supported her so much this year.            So proud of you Lilli Leigh! 

Kreme of Highland Parade

One if my favorite things about growing up in South Louisiana was Mardi Gras. We only did the New Orleans parades a handful of times but there was always plenty to do in Baton Rouge. Plus we got out of school for 2 days and nothing is better than that! Since moving up here I haven't really gotten as in to it. Yesterday's parade was only the 2nd one since we've had kids. I took Lilli when she was one or two and Cassie and Dillon took her to the Gemini Parade last year. This was Katie's first parade ever and she loved it! I think this is going to have to be a new tradition now that they are older. The Highland Parade is perfect because it's more family oriented and during the day. You know it's fun when Lilli says "that was a great afternoon!" And Katie says "thank you so much for bringing me here!" Without being asked how they liked it.  I held Katie catching beads with her and Lilli ran around picking up everything that hit the ground. It was...

New Adventures

Here the entry breaks off for calculated molecules =
____________
C36H98ClN8O4 | the ωB97M-V functional and the def2-TZVPD basis

The geometry in XYZ format:
```
147
Properties=species:S:1:pos:R:3:forces:R:3
Cl 0.44821 0.20204 1.56400 -0.09 1.23 -0.71
O 1.53888 -0.56757 0.98472 0.39 -0.47 0.54
O -0.77275 -0.24981 0.96913 -0.79 -0.80 0.23
O 0.61991 1.57414 1.26528 0.43 0.91 -0.37
O 0.40427 0.07131 3.00075 0.02 -1.05 0.42
N 1.78092 -3.01684 2.37181 -1.07 -0.39 -0.40
N -1.60522 -2.06119 3.62985 -0.42 -0.47 1.33
N -4.95610 -3.92328 -0.02141 0.46 3.03 -0.49
N -0.63360 -0.53745 -3.58948 -0.67 -1.31 0.46
N 0.00609 5.51147 -0.73237 0.31 -1.32 0.68
N 4.11054 -4.37651 2.47806 1.18 -1.28 1.09
N -4.25140 1.75042 3.37150 -1.24 0.31 -0.53
N 5.33334 2.66272 -2.58175 -0.05 1.13 0.19
C -5.63636 -4.91597 -0.81154 0.21 -2.57 -0.12
C 3.71740 1.67811 -0.81180 0.98 0.09 -0.67
C 3.50446 -6.66561 1.50267 0.94 0.79 -1.19
C -3.83307 -3.37691 -0.79231 2.10 0.57 0.35
C 0.13692 0.61389 -3.14209 0.07 -0.47 -0.91
C 4.01164 -3.86581 4.91687 0.28 0.09 0.39
C -6.71777 -2.15906 -0.52968 0.25 0.28 0.03
C -4.36953 2.44686 2.06970 0.85 -0.13 0.52
C -0.20599 4.29891 -1.51983 0.07 0.68 -2.84
C -2.90732 0.16383 -2.91817 -0.43 0.57 -1.40
C -6.57938 0.79731 3.24159 0.10 -0.25 -0.26
C -4.78521 -6.23291 -0.77026 -1.27 0.31 0.70
C -2.86984 1.61334 3.79284 0.58 -0.55 -0.27
C -3.88932 1.66428 0.87738 1.34 -0.34 0.57
C -1.37434 6.06243 1.16621 0.20 0.50 0.55
C 1.79434 7.18458 -0.00561 -0.40 -0.44 -0.09
C 6.46780 4.92975 -2.68064 0.08 -0.82 0.91
C -1.76963 -0.80362 -2.66448 0.06 1.26 0.65
C 5.17304 4.15478 -2.39197 0.33 -0.04 -0.40
C 0.24093 -1.72037 -3.71152 -0.69 0.80 -0.64
C 4.60894 2.20932 -3.78950 0.26 -1.97 0.89
C 4.74691 -4.07191 1.23472 -0.27 1.75 -1.39
C -5.10419 0.56102 3.51925 0.24 0.63 1.34
C 4.79748 -2.58985 0.87165 -0.48 -0.15 0.19
C 4.86964 -3.86553 3.66969 -0.33 0.84 -0.51
C 1.42905 5.98793 -0.86654 -1.42 -0.80 -0.38
C -5.79764 -2.77425 0.50826 -0.72 -1.66 -0.62
C -2.90354 -2.40088 0.03096 -0.65 -0.73 0.51
C 0.05224 4.58482 -3.05102 -0.75 -0.23 0.57
C -0.23691 -2.66222 -4.80395 -0.05 -0.29 -0.17
C 4.23944 -5.85859 2.57197 -1.75 -0.41 1.10
C -2.16377 2.83390 4.31205 -0.46 -0.05 0.37
C -0.32540 5.11001 0.66233 0.18 0.76 0.41
C 0.80146 1.25539 -4.40682 -1.21 0.60 1.63
C 5.19695 1.83330 -1.37114 -1.20 -0.15 0.83
C 4.72547 0.64861 -3.96619 0.69 0.52 -0.86
H -2.82287 3.22654 5.08634 0.29 0.77 -0.09
H 5.70310 0.87050 -1.44133 -0.36 -0.29 -0.91
H 4.14562 -6.54085 0.63006 -0.66 0.04 -0.65
H 6.82576 4.73943 -3.69244 0.01 0.17 0.06
H -6.19368 -1.75527 -1.39593 0.34 -0.22 -0.07
H -2.76996 -2.76828 1.04844 0.04 -0.43 0.05
H 3.88701 -4.86954 5.32319 -0.31 -0.06 -0.24
H 1.14845 7.99748 -0.33746 0.12 0.20 0.09
H 4.42769 0.30355 -4.95632 -1.02 0.38 -0.07
H -5.31355 -1.93004 0.99923 1.00 -0.61 -0.10
H -3.67234 3.27953 2.16297 -0.61 0.49 0.09
H -3.86937 -6.14006 -1.35396 -0.11 -0.29 0.19
H 5.80835 -4.36902 3.90082 0.04 -0.74 -0.42
H 4.30100 -0.03001 -3.22633 -0.08 0.41 0.14
H -1.87865 3.51135 3.50715 -0.08 0.34 0.39
H -2.70142 0.93150 4.62640 -1.00 -0.61 -0.07
____________

I am now officially a preschool teacher! I've been subbing at First Friends all year and "attempting" to teach Hallie, Sadie and Katie some (but at 2 they are really still too young to get much done). But I took over the MWF preschool class at First Friends this week. The 3 girls switched their Mothers Day Out days and are there at the same time. Monday was my first day and I loved it! I have 9 kids (6 boys and 3 girls) that are 3 and 4 years old. I'm only there 9-12 so that I can take the kids home for a nap, but next year I'll be there 9-2. It's a great schedule that will allow me to also volunteer at Apollo next year and the age is so fun. They are able to sit for a circle time to really do a lesson and are old enough for all the Pinterest crafts I want to do. I'm really happy I got this class and pray I keep this excitement.  Dad and Janet are undertaking a new adventure too.  Their new house is under construction and they should move in this summer. T...